The mark
Somewhere in Europe, the clock strikes five. It’s raining hard, and an HR consultant has finished work for the day at his client’s office. He carefully tidies the desk he’s been using, then wishes the few other workers present a good weekend. He takes his client-loaned laptop to a small IT room adjacent to the main lobby, using a temporary key card to enter. He closes the door and, after dropping the key card into a mailbox in the lobby, is ready to leave.
Freezing rain hammers on the lobby windows. The contractor holds the glass door open with his foot, trying to open his umbrella without getting his suit wet.
“Let me get that for you,” a voice says from the other side of the umbrella. It’s a man, dressed quite casually, who leans in to hold the door. “And have a nice weekend.”
The man pulls the door fully open, smiles, and brushes past into the lobby. The contractor smiles back automatically, barely registering the interaction, and walks towards his car, his mind already on dinner and the weekend ahead.
Not everyone trying to access a lobby is an attacker, but employees and security teams need to be aware that malicious individuals do exist. Holding the door open indiscriminately and allowing unfamiliar people to ‘tailgate’ should be discouraged.
The red teamer
It can happen to anyone. I’d been shadowing the contractor going in and out for weeks. I knew exactly when he would be leaving. I’d also phoned the reception desk to ask whether I could have a parcel delivered there. I’d asked who would be there to receive it and when I could come to pick it up. More important, when couldn’t I come to pick it up? When was the lobby unstaffed?
I had one goal: to break through the client’s physical security, acquire a laptop, and penetrate the restricted network to access high-value intellectual property.
Ensure that employees, especially public-facing employees like receptionists and security guards, understand what kinds of uncontrolled information can be useful to attackers so that they can exercise their own judgement when answering questions like those described here.
My name is Tom, and I’m a red teamer. I test clients’ readiness to prevent, detect, and respond to cyber attacks. A red teamer is like a boxer wearing pillows on their hands instead of gloves; red teamers simulate an attack without doing any damage, but with the same stakes. This helps clients to find and fix the gaps in their defenses so that they are ready when they are attacked for real.
This story is about my work with a financial entity, which owns custom-developed trading algorithms and workflows designed to predict trends in certain markets. In the hands of a financially-motivated adversary, this intellectual property could potentially make millions and competing organizations could save years in research and development.
So, that Friday afternoon I was sitting in my car, packing my laptop bag with the compact toolkits I needed for the physical break-in. The HR contractor left dead on time every Friday—sometimes, routine is the enemy. Around 16:55, I locked up and approached the building, walking slowly until I saw him through the glass doors. The moment he stopped to open his umbrella, I knew I was in.
The intruder
With my laptop bag hanging from my shoulder, I walked directly to the key card mailbox. It was the kind available from any standard retailer, making replica keys easy to obtain. I hadn’t bothered to find one though: I could open those simple locks on my own.
I turned my back to the CCTV cameras, making sure my hands were out of view, and slipped a lock-picking tool, a jiggler key, into the lock. I moved it gently. The mailbox opened.
The mailbox was full of access cards that had not yet been deactivated for the day. I slid them into my inside jacket pocket and walked to the IT room that I had seen the HR contractor accessing. The first key card I took out of my pocket unlocked the door.
Temporary key cards should be deactivated automatically after a certain date or time. They should then be stored in a deposit box that is reinforced and can only be accessed from a room that is not a public area and is not directly accessible from the lobby. Some organizations will even automatically blank the card as soon as it is deposited into the safe box, but even deactivated cards can be of use for an attacker if sequential employee or card numbers are used on them.
The HR contractor had left his laptop on the closest table. I felt a pang of excitement. I already knew exactly what laptop models the organization used; I had seen them front and center in corporate videos and under the arms of the workers moving through the building’s lobby. Over the last few days I had researched the potential weaknesses those models have. It pays to be prepared.
Showing any internal information can help an attacker to plan their attack. This includes: What kind of phones and laptops are in use
- How access cards are used
- What the offices look like on the inside
- What physical keys look like (as they can often be reproduced from photos)
- Where the entrances and exits in the building are
- What information ID cards contain
- What computer applications are frequently used
- What appliances and wireless gear is in use
- Which external service the company uses, such as for building security or cleaning.
Organizations cannot hide all this information, but they should understand how attackers may use it to enable their actions.
The HR contractor’s laptop went into my bag, along with a second, different model (just in case). I left the room, posted the stolen key cards back into the mailbox to avoid raising an alarm, and strolled from the building. Easy.
~~~
This record from the Open Molecules 2025 dataset describes C3H3N3O in the gas phase. The level of theory is ωB97M-V/def2-TZVPD.

Summary:
* E_HOMO: -9.578 eV
* SMILES: N=C=N/N=C\C=O
* Kohn-Sham gap: 8.9228 eV
* energy above the lowest of the compared OMol25 structures with the same formula, charge and spin: 3.330 eV

```
! RIJCOSX wB97M-V def2-TZVPD def2/J DEFGRID3
* xyz 0 1
N -1.1292 0.5365 1.9551
C -0.1128 -0.0099 1.5476
N 0.9048 -0.5267 1.0832
N 0.5958 -1.3504 -0.0078
C 0.2233 -0.7139 -1.0485
C 0.3716 0.7522 -1.3644
O 1.1007 1.5182 -0.7860
H -1.5692 0.0662 2.7366
H -0.2016 -1.3231 -1.8411
H -0.1835 1.0508 -2.2747
*
```

These are the Löwdin partial charges, in e, on atoms 1 to 8:
1. N 0.175
2. C -0.288
3. N 0.060
4. N 0.052
5. C -0.120
6. C -0.235
7. O 0.067
8. H 0.075



This record from the Open Molecules 2025 dataset describes C5H8O in the gas phase. The level of theory is ωB97M-V/def2-TZVPD.

Summary:
* E_HOMO: -7.823 eV
* Kohn-Sham gap: 8.8572 eV
* energy above the lowest of the compared OMol25 structures with the same formula, charge and spin: 5.247 eV

```
! RIJCOSX wB97M-V def2-TZVPD def2/J DEFGRID3
* xyz 0 1
C 0.6513 -1.6232 0.1626
C 0.0049 -0.4132 -0.4894
C -1.1857 0.1105 0.3267
C -0.2969 2.0429 -0.6098
O -0.3626 1.2458 0.8418
C 0.6392 0.9573 -0.2425
H 0.8249 -1.4466 1.2309
H 1.6060 -1.8718 -0.3069
H -0.0063 -2.4973 0.0731
H -0.1751 -0.5655 -1.5566
H -1.5004 -0.4420 1.2044
H -2.0497 0.4183 -0.2819
H 0.1403 3.0078 -0.3306
H 1.7102 1.0771 -0.0217
*
```

These are the Löwdin partial charges, in e, on atoms 1 to 8:
1. C -0.069
2. C -0.298
3. C -0.104
4. C 0.025
5. O -0.103
6. C -0.260
7. H 0.086
8. H 0.077



This record from the Open Molecules 2025 dataset describes C12H22NP in the gas phase at a distorted geometry. The level of theory is ωB97M-V/def2-TZVPD.

Summary:
* E_HOMO: -7.009 eV
* SMILES: CC=[P@](C)(/C(C)=C\C)[C@H](C)C=C=NC
* Kohn-Sham gap: 7.8510 eV
* energy above the lowest of the compared OMol25 structures with the same formula, charge and spin: 3.028 eV

```
! RIJCOSX wB97M-V def2-TZVPD def2/J DEFGRID3
* xyz 0 1
C -0.9220 -1.5899 1.5099
C -0.8450 -1.4722 -0.0987
P 0.3692 -0.2852 -0.6540
C 0.3322 -0.7755 -2.4534
C 2.1078 -0.1770 -0.0323
C 3.1992 -0.7863 -0.8425
C 2.2975 0.2524 1.2160
C 1.3375 0.5361 2.3387
C -0.2309 1.4913 -0.6985
C 0.9223 2.5493 -0.7104
C -1.3993 1.6404 0.3141
C -2.4785 0.8862 0.1834
N -3.5950 0.4673 -0.1396
C -4.2072 -0.7685 0.0154
H -0.1547 -2.1721 2.0089
H -1.1394 -0.5545 2.0515
H -1.7439 -2.2572 1.6781
H -0.3907 -2.3502 -0.5756
H -0.7025 -0.7360 -2.6846
H 0.7482 -1.8655 -2.4269
H 0.6592 -0.0242 -3.1095
H 4.1241 -0.4348 -0.5768
H 3.3786 -1.7980 -0.7148
H 3.1717 -0.6641 -1.9944
H 3.4079 0.1969 1.3689
H 1.2882 1.5537 2.3323
H 1.6887 0.2187 3.2333
H 0.4078 0.1284 2.0845
H -0.8156 1.4353 -1.5959
H 0.4408 3.4709 -0.8681
H 1.5238 2.3681 0.1853
H 1.4648 2.3883 -1.5473
H -1.3266 2.5431 0.9233
H -3.3120 -1.5931 0.2537
H -4.7862 -1.1679 -0.7986
H -4.8199 -0.6540 0.8244
*
```
~~~
Read the next installment of this Red Team series ‘Episode 2 – Cyber’ here.